# Work order
It remains to say how many lines of the listing underneath hold the word "type", as a bare number.

# Data
Entry 1:
DFT (PBE+U) results for Sr2CoMoO6 after structural relaxation.

```
Sr2CoMoO6
1.0
-2.740 2.740 4.165
2.740 -2.740 4.165
2.740 2.740 -4.165
Sr Co Mo O
2 1 1 6
direct
0.250 0.750 0.500 Sr
0.750 0.250 0.500 Sr
0.000 0.000 0.000 Co
0.500 0.500 0.000 Mo
0.250 0.250 0.500 O
0.250 0.750 0.000 O
0.266 0.266 0.000 O
0.734 0.734 0.000 O
0.750 0.250 0.000 O
0.750 0.750 0.500 O
```

* energy: -6.6568 eV per atom
* crystal system: tetragonal
* ΔH_f (0 K): -24.51 eV/f.u.
* total moment: 3.0 μB per formula unit
* space-group type: I4/mmm, No. 139



Entry 2:
DFT (PBE+U) results for Sr2CoMoO6 after structural relaxation.

```
Sr2CoMoO6
1.0
-2.780 2.780 3.937
2.780 -2.780 3.937
2.780 2.780 -3.937
Sr Co Mo O
2 1 1 6
direct
0.250 0.750 0.500 Sr
0.750 0.250 0.500 Sr
0.000 0.000 0.000 Co
0.500 0.500 0.000 Mo
0.216 0.287 0.503 O
0.252 0.252 0.000 O
0.287 0.784 0.071 O
0.713 0.216 0.929 O
0.748 0.748 0.000 O
0.784 0.713 0.497 O
```

* energy: -6.6512 eV per atom
* crystal system: tetragonal
* ΔH_f (0 K): -24.45 eV/f.u.
* total moment: 3.0 μB per formula unit
* space-group type: I4/m, No. 87



Entry 3:
DFT (PBE+U) results for CoTeMoO6 after structural relaxation.

```
CoTeMoO6
1.0
5.116 0.000 0.000
0.000 5.332 0.000
0.000 0.000 9.186
Co Te Mo O
2 2 2 12
direct
0.000 0.000 0.026 Co
0.500 0.500 0.974 Co
0.000 0.500 0.240 Te
0.500 0.000 0.760 Te
0.000 0.500 0.698 Mo
0.500 0.000 0.302 Mo
0.161 0.291 0.584 O
0.219 0.679 0.104 O
0.242 0.185 0.200 O
0.258 0.685 0.800 O
0.281 0.179 0.896 O
0.339 0.791 0.416 O
0.661 0.209 0.416 O
0.719 0.821 0.896 O
0.742 0.315 0.800 O
0.758 0.815 0.200 O
0.781 0.321 0.104 O
0.839 0.709 0.584 O
```

* energy: -6.3201 eV per atom
* crystal system: orthorhombic
* ΔH_f (0 K): -15.06 eV/f.u.
* total moment: 0.0 μB per formula unit
* space-group type: P2_12_12, No. 18



Entry 4:
DFT (PBE+U) results for CoP3NO9 after structural relaxation.

```
CoP3NO9
1.0
4.961 0.000 0.000
0.000 11.686 0.000
0.000 0.000 12.847
Co P N O
4 12 4 36
direct
0.000 0.000 0.000 Co
0.000 0.000 0.500 Co
0.000 0.500 0.000 Co
0.000 0.500 0.500 Co
0.240 0.250 0.000 P
0.240 0.250 0.500 P
0.491 0.578 0.130 P
0.491 0.578 0.370 P
0.491 0.922 0.630 P
0.491 0.922 0.870 P
0.509 0.078 0.130 P
0.509 0.078 0.370 P
0.509 0.422 0.630 P
0.509 0.422 0.870 P
0.760 0.750 0.000 P
0.760 0.750 0.500 P
0.023 0.736 0.750 N
0.023 0.764 0.250 N
0.977 0.236 0.750 N
0.977 0.264 0.250 N
0.083 0.152 0.546 O
0.083 0.152 0.954 O
0.083 0.348 0.046 O
0.083 0.348 0.454 O
0.192 0.556 0.120 O
0.192 0.556 0.380 O
0.192 0.944 0.620 O
0.192 0.944 0.880 O
0.318 0.511 0.585 O
0.318 0.511 0.915 O
0.318 0.989 0.085 O
0.318 0.989 0.415 O
0.443 0.094 0.250 O
0.443 0.205 0.088 O
0.443 0.205 0.412 O
0.443 0.295 0.588 O
0.443 0.295 0.912 O
0.443 0.406 0.750 O
0.557 0.594 0.250 O
0.557 0.705 0.088 O
0.557 0.705 0.412 O
0.557 0.795 0.588 O
0.557 0.795 0.912 O
0.557 0.906 0.750 O
0.682 0.011 0.585 O
0.682 0.011 0.915 O
0.682 0.489 0.085 O
0.682 0.489 0.415 O
0.808 0.056 0.120 O

# Here it is
3